== Request ==
Could you repeat all of the rows further below with every line break kept?

== Input ==
~~~
Entry 1:
The following is a computed PXRD pattern of LaSmSc2Ge2. It was derived from a DFT-relaxed cell (GGA-PBE, OQMD), using λ = 1.5418 Å (Cu Kα).
Neutral-atom scattering factors, no anomalous dispersion.

Structural model:
```
LaSmSc2Ge2
1.0
-2.1638 2.1638 8.0315
2.1638 -2.1638 8.0315
2.1638 2.1638 -8.0315
La Sm Sc Ge
1 1 2 2
Direct
0.0000 0.0000 0.0000
0.6476 0.6476 0.0000
0.3215 0.8215 0.5000
0.8215 0.3215 0.5000
0.2011 0.2011 0.0000
0.4440 0.4440 0.0000
```

Main lines, sorted by position (10° ≤ 2θ ≤ 90°):
2θ/deg  Rel. int.
26.48  63
29.18  89
31.28  81
33.47  29
34.78  100
36.93  81
41.74  77
55.42  52
55.71  33
71.97  30

Entry 2:
The following is a computed PXRD pattern of TaSi3. It was derived from a DFT-relaxed cell (GGA-PBE, OQMD), using λ = 1.5418 Å (Cu Kα).
Neutral-atom scattering factors, no anomalous dispersion.

Structural model:
```
TaSi3
1.0
-4.8751 4.8751 2.5249
4.8751 -4.8751 2.5249
4.8751 4.8751 -2.5249
Ta Si
4 12
Direct
0.1597 0.4579 0.6296
0.4699 0.8403 0.2982
0.5421 0.1717 0.7018
0.8283 0.5301 0.3704
0.0424 0.7415 0.7595
0.0587 0.4815 0.9567
0.2222 0.2057 0.8229
0.2585 0.0180 0.3009
0.3829 0.3994 0.1771
0.5185 0.4752 0.5772
0.5248 0.1020 0.0433
0.6006 0.7778 0.9835
0.7171 0.9576 0.6991
0.7943 0.6171 0.0165
0.8980 0.9413 0.4228
0.9820 0.2829 0.2405
```

Main lines, sorted by position (10° ≤ 2θ ≤ 90°):
2θ/deg  Rel. int.
12.84  100
27.02  97
28.96  33
32.77  89
37.74  48
37.95  38
39.20  36
41.42  47
42.20  48
47.55  33

Entry 3:
The following is a computed PXRD pattern of Hf4Al3Mo2N3. It was derived from a DFT-relaxed cell (GGA-PBE, OQMD), using λ = 1.5418 Å (Cu Kα).
Neutral-atom scattering factors, no anomalous dispersion.

Structural model:
```
Hf4Al3Mo2N3
1.0
4.6620 -2.7080 0.0000
4.6620 2.7080 0.0000
-3.0632 0.0000 13.9487
Hf Al Mo N
8 6 4 6
Direct
0.0266 0.2024 0.0925
0.1431 0.3013 0.4077
0.2024 0.0266 0.5925
0.3013 0.1431 0.9077
0.6987 0.8569 0.0923
0.7976 0.9734 0.4075
0.8569 0.6987 0.5923
0.9734 0.7976 0.9075
0.1244 0.8756 0.2500
0.2869 0.4188 0.7490
0.4188 0.2869 0.2490
0.5812 0.7131 0.7510
0.7131 0.5812 0.2510
0.8756 0.1244 0.7500
0.3762 0.5280 0.0888
0.4720 0.6238 0.4112
0.5280 0.3762 0.5888
0.6238 0.4720 0.9112
0.0000 0.5000 0.0000
0.1494 0.6758 0.5000
0.3242 0.8506 0.0000
0.5000 0.0000 0.5000
0.6758 0.1494 0.0000
0.8506 0.3242 0.5000
```

Main lines, sorted by position (10° ≤ 2θ ≤ 90°):
2θ/deg  Rel. int.
12.69  55
25.55  27
33.24  20
33.87  26
38.52  100
38.68  77
51.84  16
59.19  20
69.93  14
73.05  16

Entry 4:
The following is a computed PXRD pattern of Li3SmHo2Sn3. It was derived from a DFT-relaxed cell (GGA-PBE, OQMD), using λ = 1.5418 Å (Cu Kα).
Neutral-atom scattering factors, no anomalous dispersion.

Structural model:
```
Li3SmHo2Sn3
1.0
4.7057 0.0000 0.0000
-2.3529 4.0753 0.0000
0.0000 0.0000 10.9323
Li Sm Ho Sn
3 1 2 3
Direct
0.0000 0.0000 0.0000
0.3333 0.6667 0.3035
0.3333 0.6667 0.6965
0.6667 0.3333 0.5000
0.6667 0.3333 0.1618
0.6667 0.3333 0.8382
0.0000 0.0000 0.3226
0.0000 0.0000 0.6774
0.3333 0.6667 0.0000
```

Main lines, sorted by position (10° ≤ 2θ ≤ 90°):
2θ/deg  Rel. int.
21.81  29
23.29  19
27.30  18
32.97  100
38.25  55
51.38  29
64.71  22
65.83  28
69.16  12
81.89  9

----------

Diffraction record for Zr4Rh. The XRD peak list is calculated, not measured: it uses a crystal structure in Alexandria, relaxed with PBE and Cu Kα (weighted mean of Kα1 and Kα2).
No peak broadening, texture or thermal motion is included.

Largest 6 diffraction maxima, most intense first, 2θ = 10–80°:
36.93°, intensity 100.0; 36.10°, intensity 51.2; 65.46°, intensity 30.4; 51.98°, intensity 16.5; 67.07°, intensity 15.9; 78.60°, intensity 9.4

Structure:
```
5
Lattice="-3.934 3.934 1.686 3.934 -3.934 1.686 3.934 3.934 -1.686" Properties=species:S:1:pos:R:3 pbc="T T T"
Zr 5.650 0.686 0.000
Zr 0.686 2.217 0.000
Zr 3.247 1.716 1.686
Zr -1.716 3.247 1.686
Rh 0.000 0.000 1.686
```

----------
~~~

== Outcome ==
Entry 1:
The following is a computed PXRD pattern of LaSmSc2Ge2. It was derived from a DFT-relaxed cell (GGA-PBE, OQMD), using λ = 1.5418 Å (Cu Kα).
Neutral-atom scattering factors, no anomalous dispersion.

Structural model:
```
LaSmSc2Ge2
1.0
-2.1638 2.1638 8.0315
2.1638 -2.1638 8.0315
2.1638 2.1638 -8.0315
La Sm Sc Ge
1 1 2 2
Direct
0.0000 0.0000 0.0000
0.6476 0.6476 0.0000
0.3215 0.8215 0.5000
0.8215 0.3215 0.5000
0.2011 0.2011 0.0000
0.4440 0.4440 0.0000
```

Main lines, sorted by position (10° ≤ 2θ ≤ 90°):
2θ/deg  Rel. int.
26.48  63
29.18  89
31.28  81
33.47  29
34.78  100
36.93  81
41.74  77
55.42  52
55.71  33
71.97  30

Entry 2:
The following is a computed PXRD pattern of TaSi3. It was derived from a DFT-relaxed cell (GGA-PBE, OQMD), using λ = 1.5418 Å (Cu Kα).
Neutral-atom scattering factors, no anomalous dispersion.

Structural model:
```
TaSi3
1.0
-4.8751 4.8751 2.5249
4.8751 -4.8751 2.5249
4.8751 4.8751 -2.5249
Ta Si
4 12
Direct
0.1597 0.4579 0.6296
0.4699 0.8403 0.2982
0.5421 0.1717 0.7018
0.8283 0.5301 0.3704
0.0424 0.7415 0.7595
0.0587 0.4815 0.9567
0.2222 0.2057 0.8229
0.2585 0.0180 0.3009
0.3829 0.3994 0.1771
0.5185 0.4752 0.5772
0.5248 0.1020 0.0433
0.6006 0.7778 0.9835
0.7171 0.9576 0.6991
0.7943 0.6171 0.0165
0.8980 0.9413 0.4228
0.9820 0.2829 0.2405
```

Main lines, sorted by position (10° ≤ 2θ ≤ 90°):
2θ/deg  Rel. int.
12.84  100
27.02  97
28.96  33
32.77  89
37.74  48
37.95  38
39.20  36
41.42  47
42.20  48
47.55  33

Entry 3:
The following is a computed PXRD pattern of Hf4Al3Mo2N3. It was derived from a DFT-relaxed cell (GGA-PBE, OQMD), using λ = 1.5418 Å (Cu Kα).
Neutral-atom scattering factors, no anomalous dispersion.

Structural model:
```
Hf4Al3Mo2N3
1.0
4.6620 -2.7080 0.0000
4.6620 2.7080 0.0000
-3.0632 0.0000 13.9487
Hf Al Mo N
8 6 4 6
Direct
0.0266 0.2024 0.0925
0.1431 0.3013 0.4077
0.2024 0.0266 0.5925
0.3013 0.1431 0.9077
0.6987 0.8569 0.0923
0.7976 0.9734 0.4075
0.8569 0.6987 0.5923
0.9734 0.7976 0.9075
0.1244 0.8756 0.2500
0.2869 0.4188 0.7490
0.4188 0.2869 0.2490
0.5812 0.7131 0.7510
0.7131 0.5812 0.2510
0.8756 0.1244 0.7500
0.3762 0.5280 0.0888
0.4720 0.6238 0.4112
0.5280 0.3762 0.5888
0.6238 0.4720 0.9112
0.0000 0.5000 0.0000
0.1494 0.6758 0.5000
0.3242 0.8506 0.0000
0.5000 0.0000 0.5000
0.6758 0.1494 0.0000
0.8506 0.3242 0.5000
```

Main lines, sorted by position (10° ≤ 2θ ≤ 90°):
2θ/deg  Rel. int.
12.69  55
25.55  27
33.24  20
33.87  26
38.52  100
38.68  77
51.84  16
59.19  20
69.93  14
73.05  16

Entry 4:
The following is a computed PXRD pattern of Li3SmHo2Sn3. It was derived from a DFT-relaxed cell (GGA-PBE, OQMD), using λ = 1.5418 Å (Cu Kα).
Neutral-atom scattering factors, no anomalous dispersion.

Structural model:
```
Li3SmHo2Sn3
1.0
4.7057 0.0000 0.0000
-2.3529 4.0753 0.0000
0.0000 0.0000 10.9323
Li Sm Ho Sn
3 1 2 3
Direct
0.0000 0.0000 0.0000
0.3333 0.6667 0.3035
0.3333 0.6667 0.6965
0.6667 0.3333 0.5000
0.6667 0.3333 0.1618
0.6667 0.3333 0.8382
0.0000 0.0000 0.3226
0.0000 0.0000 0.6774
0.3333 0.6667 0.0000
```

Main lines, sorted by position (10° ≤ 2θ ≤ 90°):
2θ/deg  Rel. int.
21.81  29
23.29  19
27.30  18
32.97  100
38.25  55
51.38  29
64.71  22
65.83  28
69.16  12
81.89  9

----------

Diffraction record for Zr4Rh. The XRD peak list is calculated, not measured: it uses a crystal structure in Alexandria, relaxed with PBE and Cu Kα (weighted mean of Kα1 and Kα2).
No peak broadening, texture or thermal motion is included.

Largest 6 diffraction maxima, most intense first, 2θ = 10–80°:
36.93°, intensity 100.0; 36.10°, intensity 51.2; 65.46°, intensity 30.4; 51.98°, intensity 16.5; 67.07°, intensity 15.9; 78.60°, intensity 9.4

Structure:
```
5
Lattice="-3.934 3.934 1.686 3.934 -3.934 1.686 3.934 3.934 -1.686" Properties=species:S:1:pos:R:3 pbc="T T T"
Zr 5.650 0.686 0.000
Zr 0.686 2.217 0.000
Zr 3.247 1.716 1.686
Zr -1.716 3.247 1.686
Rh 0.000 0.000 1.686
```

----------